The Dangerous Paths of the Idle Mind: The Soundtrack of "My" War
Away from courses, teaching, and committees for the summer and this is the first thing I can come up to write here? It might end up being one sad, unproductive summer if I don't watch out.
The article is interrupted by calculated crystals
Calculated powder diffractogram
Compound: MgAs4P4O16
Radiation: a wavelength of 1.5418 Å
Structure: a PBE-relaxed structure

Main lines, sorted by position (2θ from 5° to 70°):
| Position (°2θ) | d [Å] | I_rel |
| --- | --- | --- |
| 13.66 | 6.484 | 73 |
| 19.85 | 4.472 | 75 |
| 21.28 | 4.175 | 100 |
| 21.44 | 4.144 | 48 |
| 22.23 | 3.999 | 51 |
| 23.31 | 3.817 | 40 |
| 26.55 | 3.357 | 47 |
| 27.78 | 3.211 | 83 |
| 29.52 | 3.026 | 69 |
| 35.33 | 2.540 | 55 |

Crystal structure
```
data_MgAs4P4O16
_chemical_formula_sum 'Mg1 As4 P4 O16'
_cell_length_a 8.4042
_cell_length_b 5.0806
_cell_length_c 9.0034
_cell_angle_alpha 90.00
_cell_angle_beta 96.57
_cell_angle_gamma 90.00
_space_group_name_H-M_alt 'P 1 m 1'
_space_group_IT_number 6
loop_
_space_group_symop_operation_xyz
'x,y,z'
'x,-y,z'
loop_
_atom_site_label
_atom_site_fract_x
_atom_site_fract_y
_atom_site_fract_z
Mg1 0.0000 0.0000 0.0000
As1 0.2876 0.5000 0.7190
As2 0.4338 0.5000 0.1995
As3 0.7661 0.0000 0.6261
As4 0.7839 0.0000 0.1956
P1 0.3111 0.0000 0.0382
P2 0.4141 0.0000 0.5502
P3 0.7925 0.5000 0.3536
P4 0.9455 0.5000 0.8015
O1 0.0241 0.5000 0.9606
O2 0.0647 0.5000 0.6777
O3 0.1957 0.0000 0.1557
O4 0.2146 0.0000 0.8818
O5 0.3075 0.2462 0.5770
O6 0.4286 0.2464 0.0514
O7 0.4730 0.0000 0.4009
O8 0.5619 0.0000 0.6826
O9 0.6531 0.5000 0.2149
O10 0.7286 0.5000 0.5042
O11 0.8402 0.2430 0.7822
O12 0.8968 0.2563 0.3247
```

* * * * *

Starting from the GGA-PBE geometry in the Materials Project, the XRD peak list of SrNdEuNbO6 was calculated for Cu Ka.
Intensities are scaled so that the largest is 100.

Most intense lines, 2θ from 10° to 80°, by angle:
2theta, d [Å], I (rel.)
29.73, 3.005, 100
42.44, 2.130, 9
42.59, 2.123, 18
52.73, 1.736, 30
52.80, 1.734, 15
61.69, 1.504, 10
61.80, 1.501, 5
69.85, 1.347, 6
70.07, 1.343, 12
77.85, 1.227, 5

Crystal structure
Cell: 8.488 8.495 8.519 Å, 90.00 90.00 90.00°
Space group Pnnn (No. 48, origin choice 2)
Symmetry-distinct sites (fractional):
Sr  0.250  0.250  0.250 x2
Sr  0.250  0.750  0.250 x2
Nd  0.000  0.000  0.000 x4
Eu  0.250  0.250  0.750 x2
Eu  0.250  0.750  0.750 x2
Nb  0.000  0.000  0.500 x4
O  0.040  0.230  0.451 x8
O  0.050  0.041  0.731 x8
O  0.230  0.549  0.039 x8

***

Starting from the GGA-PBE geometry in the Materials Project, the XRD peak list of Na5Cu3P4O16 was calculated for Cu Ka.
Intensities are scaled so that the largest is 100.

Most intense lines, 2θ from 10° to 80°, by angle:
2theta, d [Å], I (rel.)
12.05, 7.346, 100
24.50, 3.634, 18
26.07, 3.418, 46
29.54, 3.024, 28
31.25, 2.863, 19
32.18, 2.782, 20
33.05, 2.711, 20
34.16, 2.625, 26
34.30, 2.614, 27
34.85, 2.574, 75

Crystal structure
Cell: 5.153 8.502 9.193 Å, 63.87 89.51 73.86°
Space group P-1 (No. 2)
Symmetry-distinct sites (fractional):
Na  0.000  0.000  0.000 x1
Na  0.288  0.464  0.256 x2
Na  0.336  0.353  0.636 x2
Cu  0.152  0.750  0.793 x2
Cu  0.500  0.000  0.500 x1
P  0.071  0.817  0.431 x2
P  0.278  0.306  0.977 x2
O  0.028  0.695  0.004 x2
O  0.028  0.990  0.266 x2
A few nights ago, engaged in hand-to-hand combat with a terrible bout of insomnia, I broke down and turned my television on. Some channel was playing the movie "Jarhead," a movie (and a book) I had refused to read or watch for some time. The book I tackled some years ago; the movie I just swallowed a couple of nights ago and I still feel like vomiting. At any rate, this is the story of how I developed a ridiculous impulse to write an entry on this blog dealing with Operation Desert Shield/Storm and the music soundtrack of the war itself.
There are many reasons why I found the book attractive when it first came out in 2003, some more obvious than others. Regardless of my personal experiences in 1990-1991, the fact that the book was published in the months leading to the controversial Iraq invasion was enough to stimulate my overriding impulses to keep my budget that month and I went out and bought a hardcover first edition at the outrageous price of $24.00 which I couldn't afford at the time. It sat on my shelve for a couple of years before I read it. One of the things that bothered me about the book was a criticism shared by most combat veterans from that now seemingly distant conflict. With all my respect to Mr. Swofford, the book was preachy and at times even horribly pedantic. Parts of the books seemed more interesting in proving which Marines fought real combat and which Marines distributed out shit-paper and toothpaste at the supply depot. Michiko Kakutani's statement from "The New York Times" went as far as comparing it to Michael Herr's "Dispatches," which many found insulting and emblematic of how ignorant the media can be about serious matters such as men at war. Again, I was divided on what to think--2003 was not the easiest year for me personally and whatever attention I could give to book criticism was very limited. The common criticism among former Jarheads was that Swofford wanted to sound like a professor of Marine Corps history and insisted in pointing out details about the Corps that were either unimportant or irrelevant to the narrative. I remember that (for whatever the reason) I tried defending the book at the last "India" Co., 3rd Battalion, 6th Marines reunion. It was a futile effort--most of my former brothers in arms had watched the movie, not read the book. For this reason, I was been divided on whether to watch the movie or not, until a few nights ago.
The main objective of this entry is to prove a slightly off comment I watched in the film but cannot remember whether or not it was in the book. Swofford laments the fact that the helicopters flying overhead with loud speakers were playing music from the 1960s, Vietnam music. It's not clear to me now whether it was The Rolling Stones or The Doors, but music from the 60s it was. Swofford's commentary was something to do with the shitty music of the early 1990s, particularly from the duration time of the war itself. I did a little research and found out he was absolutely right--top music lists from the fall of 1990 to the spring of 1991 were full of fluffy, bubble gum popular tunes. But wait... during that time wasn't I listening to Don Henley's "The End of the Innocence" and Tom Petty's "Full Moon Fever" and also the soundtrack from Ken Burn's "The Civil War?" Sure, some of these were released in late 1989, but most radio stations (including the Armed Forced network) were still very actively playing both Don Henley and Tom Petty. Songs like "Free Falling," and "The Heart of the Matter" were not only philosophically insightful but also comforting to a nineteen or twenty-something 3,000 miles from home, missing his girlfriend, sitting on so much sand; Swofford called it "the sweaty arm pit of the world." That was the soundtrack of my war, and there isn't a single time since I've heard any of those songs played on the radio when I don't get pulled back to that confusing war. In the absence of music of real substance, all one had to do was pop in a carefully selected (operative words) cassette and dream on. Peace.
Labels: Anthony Swofford, Jarhead, music soundtrack of the war